Entries:
[1]
{
  "formula": "C8H7I3Si",
  "method": "ωB97M-V/def2-TZVPD",
  "species": ["C", "C", "C", "C", "C", "C", "C", "C", "Si", "I", "I", "I", "H", "H", "H", "H", "H", "H", "H"],
  "xyz": [[-0.810, -1.793, 0.070], [-1.614, -0.984, 0.821], [-0.369, -1.231, -1.257], [0.781, -0.672, -1.504], [-2.187, 0.281, 0.204], [-1.368, 1.331, 0.064], [1.840, -0.470, -0.504], [1.620, 0.331, 0.481], [0.302, 1.532, 1.015], [3.612, -1.329, -1.167], [3.902, 1.102, 1.839], [1.123, 3.690, 0.574], [-0.266, -2.653, 0.408], [-1.769, -1.367, 1.831], [-1.097, -1.352, -2.002], [1.073, -0.195, -2.462], [-3.109, 0.383, -0.287], [-1.853, 2.096, -0.563], [0.190, 1.299, 2.440]],
  "atomic_forces_ev_per_a": [[0.022, 2.969, -0.085], [0.262, -1.743, -0.920], [-0.812, -1.483, 1.099], [1.048, 0.957, -0.905], [2.773, -0.436, 1.250], [-0.343, 0.253, 0.266], [0.566, -0.468, -0.917], [1.962, 1.362, 1.666], [-0.952, -0.928, -0.594], [0.278, -0.119, 0.214], [-2.100, -0.759, -1.012], [0.251, 1.050, -0.212], [-0.200, -0.405, 0.530], [-0.612, 0.563, -0.069], [-0.769, 0.161, -1.312], [-0.560, -0.652, 0.427], [-1.394, -0.648, -0.319], [0.862, 0.279, 0.488], [-0.281, 0.046, 0.407]],
  "homo_energy_ev": [-8.86, -8.86],
  "orbital_gap_ev": [7.04, 7.04],
  "e_lumo_ha": [-0.067, -0.067]
}

---

[2]
{
  "formula": "C8H7IN2S",
  "method": "ωB97M-V/def2-TZVPD",
  "species": ["C", "C", "C", "C", "C", "C", "C", "C", "N", "N", "S", "I", "H", "H", "H", "H", "H", "H", "H"],
  "xyz": [[1.701, -2.269, -0.759], [-2.182, 2.311, -0.289], [-1.020, 2.944, -0.593], [-2.007, 0.924, -0.106], [-0.709, 0.506, -0.272], [-0.177, -0.836, -0.166], [1.943, -0.771, 1.154], [1.346, -0.967, -0.248], [1.953, -3.313, -1.150], [-0.983, -1.787, 0.030], [0.308, 1.866, -0.661], [-3.616, -0.307, 0.386], [-3.133, 2.804, -0.198], [-0.861, 3.986, -0.784], [1.522, -1.494, 1.850], [1.721, 0.232, 1.513], [3.022, -0.902, 1.126], [1.752, -0.211, -0.931], [-0.580, -2.716, 0.097]],
  "atomic_forces_ev_per_a": [[0.018, -0.094, -0.173], [0.021, 0.188, -0.040], [0.305, -0.210, -0.007], [0.041, -0.611, 0.119], [-0.261, 0.966, -0.079], [0.301, -0.572, -0.098], [0.151, 0.089, 0.037], [-0.154, 0.431, 0.337], [0.160, -0.531, -0.153], [-0.144, -0.204, 0.032], [-0.534, -0.103, 0.087], [-0.097, 0.459, -0.041], [-0.132, 0.086, 0.009], [-0.024, 0.225, -0.030], [-0.020, -0.024, -0.022], [-0.017, 0.031, 0.031], [0.034, 0.020, 0.021], [-0.033, -0.158, 0.061], [0.383, 0.013, -0.092]],
  "homo_energy_ev": -8.93,
  "smiles": "[H]/N=C(/c1sccc1I)[C@@H](C)C#N",
  "orbital_gap_ev": 8.84,
  "e_lumo_ha": -0.003
}

---

[3]
{
  "formula": "C8H7N2O5RuS",
  "method": "ωB97M-V/def2-TZVPD",
  "species": ["O", "C", "Ru", "O", "C", "C", "O", "C", "O", "C", "O", "H", "S", "C", "N", "C", "C", "N", "H", "H", "H", "H", "H", "H"],
  "xyz": [[-0.115, -0.751, -4.726], [-0.134, -0.475, -3.594], [0.128, -0.122, -0.301], [1.444, -2.264, -2.101], [0.921, -1.439, -1.471], [0.963, -0.491, 1.405], [1.488, -0.767, 2.411], [-1.318, 1.282, 0.127], [-1.893, 1.976, 0.928], [1.438, 1.293, -0.650], [2.164, 2.171, -0.892], [-1.134, 1.040, -1.059], [-1.767, -1.682, 0.297], [-1.986, -1.403, 1.985], [-2.931, -0.563, 2.472], [-2.969, -0.602, 3.912], [-1.922, -1.686, 4.270], [-1.485, -2.164, 2.981], [-3.508, 0.054, 1.881], [-3.982, -0.865, 4.227], [-2.678, 0.346, 4.381], [-2.396, -2.477, 4.867], [-1.103, -1.248, 4.866], [-0.671, -2.803, 2.878]],
  "atomic_forces_ev_per_a": [[-0.063, 1.278, 5.251], [-0.300, -0.967, -5.773], [-0.972, -1.837, 0.095], [-2.106, 3.009, 2.182], [3.455, -3.938, -1.751], [2.466, -1.493, 4.823], [-1.901, 1.066, -3.549], [-1.512, 2.430, 1.236], [1.567, -2.261, -2.680], [3.445, 4.244, -2.087], [-2.892, -3.767, 1.312], [-1.740, 1.774, 1.087], [0.655, 0.486, -0.497], [1.131, -0.089, -3.607], [-1.549, 1.406, 1.272], [0.436, -0.483, -0.003], [-0.794, 0.400, 0.017], [1.275, -1.328, 2.332], [0.325, -0.421, 0.559], [-0.083, 0.099, 0.203], [-0.241, 0.174, -0.205], [0.261, -0.075, -0.074], [0.022, -0.292, -0.207], [-0.885, 0.586, 0.061]],

Assignment:
Restate all of the listing further up word for word, please.

Solution:
[1]
{
  "formula": "C8H7I3Si",
  "method": "ωB97M-V/def2-TZVPD",
  "species": ["C", "C", "C", "C", "C", "C", "C", "C", "Si", "I", "I", "I", "H", "H", "H", "H", "H", "H", "H"],
  "xyz": [[-0.810, -1.793, 0.070], [-1.614, -0.984, 0.821], [-0.369, -1.231, -1.257], [0.781, -0.672, -1.504], [-2.187, 0.281, 0.204], [-1.368, 1.331, 0.064], [1.840, -0.470, -0.504], [1.620, 0.331, 0.481], [0.302, 1.532, 1.015], [3.612, -1.329, -1.167], [3.902, 1.102, 1.839], [1.123, 3.690, 0.574], [-0.266, -2.653, 0.408], [-1.769, -1.367, 1.831], [-1.097, -1.352, -2.002], [1.073, -0.195, -2.462], [-3.109, 0.383, -0.287], [-1.853, 2.096, -0.563], [0.190, 1.299, 2.440]],
  "atomic_forces_ev_per_a": [[0.022, 2.969, -0.085], [0.262, -1.743, -0.920], [-0.812, -1.483, 1.099], [1.048, 0.957, -0.905], [2.773, -0.436, 1.250], [-0.343, 0.253, 0.266], [0.566, -0.468, -0.917], [1.962, 1.362, 1.666], [-0.952, -0.928, -0.594], [0.278, -0.119, 0.214], [-2.100, -0.759, -1.012], [0.251, 1.050, -0.212], [-0.200, -0.405, 0.530], [-0.612, 0.563, -0.069], [-0.769, 0.161, -1.312], [-0.560, -0.652, 0.427], [-1.394, -0.648, -0.319], [0.862, 0.279, 0.488], [-0.281, 0.046, 0.407]],
  "homo_energy_ev": [-8.86, -8.86],
  "orbital_gap_ev": [7.04, 7.04],
  "e_lumo_ha": [-0.067, -0.067]
}

---

[2]
{
  "formula": "C8H7IN2S",
  "method": "ωB97M-V/def2-TZVPD",
  "species": ["C", "C", "C", "C", "C", "C", "C", "C", "N", "N", "S", "I", "H", "H", "H", "H", "H", "H", "H"],
  "xyz": [[1.701, -2.269, -0.759], [-2.182, 2.311, -0.289], [-1.020, 2.944, -0.593], [-2.007, 0.924, -0.106], [-0.709, 0.506, -0.272], [-0.177, -0.836, -0.166], [1.943, -0.771, 1.154], [1.346, -0.967, -0.248], [1.953, -3.313, -1.150], [-0.983, -1.787, 0.030], [0.308, 1.866, -0.661], [-3.616, -0.307, 0.386], [-3.133, 2.804, -0.198], [-0.861, 3.986, -0.784], [1.522, -1.494, 1.850], [1.721, 0.232, 1.513], [3.022, -0.902, 1.126], [1.752, -0.211, -0.931], [-0.580, -2.716, 0.097]],
  "atomic_forces_ev_per_a": [[0.018, -0.094, -0.173], [0.021, 0.188, -0.040], [0.305, -0.210, -0.007], [0.041, -0.611, 0.119], [-0.261, 0.966, -0.079], [0.301, -0.572, -0.098], [0.151, 0.089, 0.037], [-0.154, 0.431, 0.337], [0.160, -0.531, -0.153], [-0.144, -0.204, 0.032], [-0.534, -0.103, 0.087], [-0.097, 0.459, -0.041], [-0.132, 0.086, 0.009], [-0.024, 0.225, -0.030], [-0.020, -0.024, -0.022], [-0.017, 0.031, 0.031], [0.034, 0.020, 0.021], [-0.033, -0.158, 0.061], [0.383, 0.013, -0.092]],
  "homo_energy_ev": -8.93,
  "smiles": "[H]/N=C(/c1sccc1I)[C@@H](C)C#N",
  "orbital_gap_ev": 8.84,
  "e_lumo_ha": -0.003
}

---

[3]
{
  "formula": "C8H7N2O5RuS",
  "method": "ωB97M-V/def2-TZVPD",
  "species": ["O", "C", "Ru", "O", "C", "C", "O", "C", "O", "C", "O", "H", "S", "C", "N", "C", "C", "N", "H", "H", "H", "H", "H", "H"],
  "xyz": [[-0.115, -0.751, -4.726], [-0.134, -0.475, -3.594], [0.128, -0.122, -0.301], [1.444, -2.264, -2.101], [0.921, -1.439, -1.471], [0.963, -0.491, 1.405], [1.488, -0.767, 2.411], [-1.318, 1.282, 0.127], [-1.893, 1.976, 0.928], [1.438, 1.293, -0.650], [2.164, 2.171, -0.892], [-1.134, 1.040, -1.059], [-1.767, -1.682, 0.297], [-1.986, -1.403, 1.985], [-2.931, -0.563, 2.472], [-2.969, -0.602, 3.912], [-1.922, -1.686, 4.270], [-1.485, -2.164, 2.981], [-3.508, 0.054, 1.881], [-3.982, -0.865, 4.227], [-2.678, 0.346, 4.381], [-2.396, -2.477, 4.867], [-1.103, -1.248, 4.866], [-0.671, -2.803, 2.878]],
  "atomic_forces_ev_per_a": [[-0.063, 1.278, 5.251], [-0.300, -0.967, -5.773], [-0.972, -1.837, 0.095], [-2.106, 3.009, 2.182], [3.455, -3.938, -1.751], [2.466, -1.493, 4.823], [-1.901, 1.066, -3.549], [-1.512, 2.430, 1.236], [1.567, -2.261, -2.680], [3.445, 4.244, -2.087], [-2.892, -3.767, 1.312], [-1.740, 1.774, 1.087], [0.655, 0.486, -0.497], [1.131, -0.089, -3.607], [-1.549, 1.406, 1.272], [0.436, -0.483, -0.003], [-0.794, 0.400, 0.017], [1.275, -1.328, 2.332], [0.325, -0.421, 0.559], [-0.083, 0.099, 0.203], [-0.241, 0.174, -0.205], [0.261, -0.075, -0.074], [0.022, -0.292, -0.207], [-0.885, 0.586, 0.061]],